Job
Find "_space_group_name_H-M_alt 'P" and "loop_" in the material underneath, and print these two lines and those between.

Contents
=====
Dy5Hg2 after structural relaxation. Source: Alexandria via LeMat-Bulk, functional PBE-GGA.

Cell and atoms, written as POSCAR:
```
Dy5Hg2
1.0
8.136 -3.678 0.000
8.136 3.678 0.000
-0.162 0.000 6.730
Dy Hg
10 4
Cartesian
8.014 3.629 5.047
3.596 0.275 5.119
6.556 1.082 3.296
3.677 -0.275 1.754
9.635 1.082 0.069
6.475 -1.082 6.661
12.433 0.275 4.976
9.554 -1.082 3.434
12.514 -0.275 1.611
8.095 -3.629 1.682
6.133 1.824 6.614
9.895 1.824 3.481
6.214 -1.824 3.249
9.976 -1.824 0.116
```

Properties
crystal system	monoclinic
M_tot	0.0	μB/f.u.
formation energy from the elements	-163.2	kJ/mol of formula units
energy relative to the lowest polymorph listed for this composition	0.0000	eV per atom
ρ	10.01	Mg/m³

----------

1.
DFT (PBE-GGA) results for an optimized crystal structure of DyPuSc2P4.

Calculated values
Its formation energy is -1.42 eV per atom. The total energy comes out at -8.0723 eV per atom. For the magnetic moment, the calculation gives 4.9 μB/cell. Its space group is P2/m, No. 10. As for the density: 6.253 g/cm³.

a b c (Å): 3.8913 6.6841 6.7219
angles (deg): 70.42 90.00 90.00
Each line ends with the local moment (μB).
Element x y z (fractional)
Pu  0.5000  0.5000  0.0000  4.86
P  0.5000  0.7638  0.2431  -0.04
P  0.5000  0.2362  0.7569  -0.04
Sc  0.0000  0.0000  0.0000  0.04
P  0.0000  0.7625  0.7482  -0.08
Sc  0.5000  0.0000  0.5000  0.01
Dy  0.0000  0.5000  0.5000  0.03
P  0.0000  0.2375  0.2518  -0.08

2.
DFT (PBE-GGA) results for an optimized crystal structure of SmDy2PuP4.

Calculated values
Its formation energy is -1.48 eV per atom. The total energy comes out at -7.7125 eV per atom. For the magnetic moment, the calculation gives 4.9 μB/cell. Its space group is P2/m, No. 10. As for the density: 7.586 g/cm³.

a b c (Å): 4.0344 6.9711 6.9629
angles (deg): 109.50 90.00 90.00
Each line ends with the local moment (μB).
Element x y z (fractional)
P  0.5000  0.2446  0.2488  -0.08
Pu  0.0000  0.0000  0.0000  4.90
P  0.0000  0.7558  0.2526  -0.05
Sm  0.5000  0.5000  0.0000  0.03
Dy  0.5000  0.0000  0.5000  0.02
P  0.0000  0.2442  0.7474  -0.05
P  0.5000  0.7554  0.7512  -0.08
Dy  0.0000  0.5000  0.5000  0.00

3.
DFT (PBE-GGA) results for an optimized crystal structure of TbDy2PuP4.

Calculated values
Its formation energy is -1.49 eV per atom. The total energy comes out at -7.7152 eV per atom. For the magnetic moment, the calculation gives 4.9 μB/cell. Its space group is P2/m, No. 10. As for the density: 7.785 g/cm³.

a b c (Å): 4.0137 6.9309 6.9289
angles (deg): 109.50 90.00 90.00
Each line ends with the local moment (μB).
Element x y z (fractional)
P  0.5000  0.7538  0.7529  -0.08
Tb  0.5000  0.5000  0.0000  0.03
Dy  0.0000  0.5000  0.5000  0.00
Dy  0.5000  0.0000  0.5000  0.02
Pu  0.0000  0.0000  0.0000  4.89
P  0.0000  0.2475  0.7507  -0.05
P  0.0000  0.7525  0.2493  -0.05
P  0.5000  0.2462  0.2471  -0.08

Among the records above, which one has the highest density? TbDy2PuP4

Which formula does entry 3 have? TbDy2PuP4

What is the formula in the first record? DyPuSc2P4

Which formula does entry 2 have? SmDy2PuP4

----------

Crystalline SnBiPt3 at its relaxed geometry. Source: the Alexandria database, functional PBE-GGA.

Results
Energy relative to the lowest polymorph listed for this composition (kcal/mol of atoms): 5.75

```
data_SnBiPt3
_space_group_name_H-M_alt 'P m -3 m'
_space_group_IT_number 221
_space_group_name_Hall '-P 4 2 3'
_cell_length_a 5.1021
_cell_length_b 5.1021
_cell_length_c 5.1021
_cell_angle_alpha 90.00
_cell_angle_beta 90.00
_cell_angle_gamma 90.00
loop_
_atom_site_label
_atom_site_fract_x
=====

Result
_space_group_name_H-M_alt 'P m -3 m'
_space_group_IT_number 221
_space_group_name_Hall '-P 4 2 3'
_cell_length_a 5.1021
_cell_length_b 5.1021
_cell_length_c 5.1021
_cell_angle_alpha 90.00
_cell_angle_beta 90.00
_cell_angle_gamma 90.00
loop_